Baek Joo-hee: Illuminating South Korean Cinema

Baek Joo-hee: A Trailblazer in South Korean Cinema

The article is interrupted by materials data
********
Below is a geometry-optimized Li4Ti2Fe3Sb3O16 structure, with properties calculated at the GGA+U level.

The value obtained for the MP2020-corrected energy is -7.2534 eV per atom. The calculation puts the offset from the most stable computed form at 10 meV per atom. Its uncorrected energy is -6.619 eV/atom. For the formation energy, the calculation gives -2.2395 eV per atom. Its space group is P1.

Geometry as POSCAR:
```
Li4Ti2Fe3Sb3O16
1.0
6.141 0.000 0.000
0.031 9.793 0.000
0.040 0.311 10.872
Li Ti Fe Sb O
8 4 6 6 32
direct
0.000 0.000 0.000
0.000 0.089 0.685
0.002 0.480 0.011
0.500 0.089 0.185
0.500 0.582 0.833
0.501 0.000 0.500
0.501 0.479 0.510
0.999 0.582 0.333
0.002 0.012 0.375
0.498 0.481 0.193
0.502 0.012 0.874
0.999 0.480 0.693
0.000 0.770 0.837
0.244 0.274 0.434
0.257 0.274 0.934
0.499 0.770 0.337
0.744 0.275 0.935
0.757 0.274 0.434
0.000 0.266 0.190
0.248 0.765 0.591
0.254 0.767 0.090
0.500 0.267 0.690
0.747 0.767 0.091
0.755 0.767 0.590
0.000 0.645 0.520
0.002 0.878 0.160
0.003 0.126 0.500
0.003 0.183 0.025
0.003 0.667 0.010
0.214 0.135 0.272
0.219 0.637 0.740
0.248 0.389 0.112
0.251 0.389 0.612
0.251 0.891 0.429
0.253 0.891 0.932
0.278 0.638 0.238
0.287 0.134 0.772
0.497 0.379 0.841
0.497 0.881 0.165
0.498 0.402 0.342
0.500 0.646 0.020
0.501 0.184 0.525
0.502 0.877 0.660
0.505 0.128 0.999
0.505 0.666 0.510
0.713 0.135 0.772
0.718 0.640 0.241
0.748 0.389 0.612
0.750 0.892 0.930
0.753 0.390 0.112
0.755 0.892 0.432
0.780 0.639 0.739
0.788 0.134 0.273
0.995 0.401 0.842
0.999 0.378 0.342
0.999 0.880 0.665
```

---

Below is a geometry-optimized Fe3O4F2 structure, with properties calculated at the GGA+U level.

The value obtained for the MP2020-corrected energy is -7.2146 eV per atom. The calculation puts the offset from the most stable computed form at 35 meV per atom. Its uncorrected energy is -6.055 eV/atom. For the formation energy, the calculation gives -1.7667 eV per atom. Its space group is P-1.

Geometry as POSCAR:
```
Fe3O4F2
1.0
4.662 0.000 0.000
0.042 5.556 0.000
0.059 0.651 7.704
Fe O F
6 8 4
direct
0.000 0.000 0.000
0.005 0.327 0.687
0.458 0.160 0.343
0.500 0.500 0.000
0.542 0.840 0.657
0.995 0.673 0.313
0.196 0.965 0.215
0.200 0.284 0.910
0.304 0.126 0.573
0.306 0.464 0.235
0.694 0.536 0.765
0.696 0.874 0.427
0.800 0.716 0.090
0.804 0.035 0.785
0.192 0.630 0.564
0.295 0.789 0.887
0.705 0.211 0.113
0.808 0.370 0.436
```

---

Below is a geometry-optimized Pr12Mn11O36 structure, with properties calculated at the GGA+U level.

The value obtained for the MP2020-corrected energy is -8.6247 eV per atom. Its uncorrected energy is -7.895 eV/atom. For the formation energy, the calculation gives -2.9251 eV per atom. Its space group is P2_1/c.

Geometry as POSCAR:
```
Pr12Mn11O36
1.0
7.881 0.000 0.000
0.000 23.440 0.000
-7.679 0.000 7.928
Pr Mn O
24 22 72
direct
0.040 0.082 0.275
0.040 0.418 0.775
0.043 0.749 0.778
0.043 0.751 0.278
0.080 0.077 0.797
0.080 0.423 0.297
0.448 0.579 0.241
0.448 0.921 0.741
0.452 0.581 0.720
********

Baek Joo-hee

Baek Joo-hee stands as a luminary in the realm of South Korean cinema, her artistic prowess illuminating screens and hearts alike. Born on April 12, 1978, in Seoul, South Korea, Baek's journey is a testament to resilience, passion, and an unwavering commitment to storytelling.

== Unrelated to this entry: materials data ==
- - -
(1)
Material: Rb2CeCl5
Method: DFT, PBE-GGA
State: relaxed

Calculated values
ρ   3.2 g/cm³
Space group   Pnma (62)
Raw total energy   -137.24 eV per cell

Cell: 8.2287 9.0726 13.6198 Å, 90.00 90.00 90.00°
Positions (direct):
Cl  0.3491  0.5380  0.4190
Cl  0.6509  0.4620  0.5810
Cl  0.1704  0.2500  0.1949
Cl  0.3296  0.2500  0.6949
Cl  0.0878  0.2500  0.4887
Cl  0.8491  0.4620  0.0810
Cl  0.8617  0.2500  0.8351
Cl  0.8296  0.7500  0.8051
Cl  0.6509  0.0380  0.5810
Cl  0.8491  0.0380  0.0810
Cl  0.4122  0.2500  0.9887
Cl  0.1509  0.5380  0.9190
Cl  0.6383  0.2500  0.3351
Cl  0.3617  0.7500  0.6649
Cl  0.9122  0.7500  0.5113
Cl  0.6704  0.7500  0.3051
Cl  0.1383  0.7500  0.1649
Cl  0.1509  0.9620  0.9190
Cl  0.5878  0.7500  0.0113
Cl  0.3491  0.9620  0.4190
Rb  0.4676  0.9993  0.1741
Rb  0.5324  0.4993  0.8259
Rb  0.4676  0.5007  0.1741
Rb  0.9676  0.4993  0.3259
Rb  0.9676  0.0007  0.3259
Rb  0.0324  0.5007  0.6741
Rb  0.0324  0.9993  0.6741
Rb  0.5324  0.0007  0.8259
Ce  0.5705  0.7500  0.5030
Ce  0.0705  0.2500  0.9970
Ce  0.9295  0.7500  0.0030
Ce  0.4295  0.2500  0.4970

***

(2)
Material: Rb3CeCl6
Method: DFT, PBE-GGA
State: relaxed

Calculated values
Size of the total moment   1.00 μB per formula unit
ρ   2.5 g/cm³
Space group   Fm-3m (225)
Raw total energy   -40.36 eV per cell

Cell: 8.2973 8.2973 8.2973 Å, 60.00 60.00 60.00°
Positions (direct):
Cl  0.2340  0.2340  0.7660
Cl  0.7660  0.2340  0.7660
Cl  0.7660  0.7660  0.2340
Cl  0.2340  0.7660  0.2340
Cl  0.7660  0.2340  0.2340
Cl  0.2340  0.7660  0.7660
Rb  0.7500  0.7500  0.7500
Rb  0.5000  0.5000  0.5000
Rb  0.2500  0.2500  0.2500
Ce  0.0000  0.0000  0.0000

***

(3)
Material: CeSCl
Method: DFT, PBE-GGA
State: relaxed

Calculated values
ρ   4.2 g/cm³
Space group   Pbca (61)
Raw total energy   -146.14 eV per cell

Cell: 6.8689 7.0294 13.5419 Å, 90.00 90.00 90.00°
Positions (direct):
S  0.9990  0.2586  0.4746
S  0.4990  0.2414  0.4746
S  0.9990  0.7586  0.0254
S  0.5010  0.7586  0.5254
S  0.0010  0.7414  0.5254
S  0.4990  0.7414  0.0254
S  0.5010  0.2586  0.9746
S  0.0010  0.2414  0.9746
Cl  0.8566  0.3718  0.2117
Cl  0.3566  0.6282  0.2883
Cl  0.8566  0.8718  0.2883
Cl  0.1434  0.1282  0.7117
Cl  0.6434  0.8718  0.7883
Cl  0.3566  0.1282  0.2117
Cl  0.6434  0.3718  0.7117
Cl  0.1434  0.6282  0.7883
Ce  0.2598  0.9652  0.9026
Ce  0.7598  0.0348  0.5974
Ce  0.2598  0.4652  0.5974
Ce  0.7402  0.5348  0.4026
Ce  0.2402  0.4652  0.0974
Ce  0.7598  0.5348  0.9026
Ce  0.2402  0.9652  0.4026
Ce  0.7402  0.0348  0.0974

***

(4)
Material: Ce3Si2S8Cl
Method: DFT, PBE-GGA
State: relaxed

Calculated values
Size of the total moment   3.00 μB per formula unit
ρ   3.8 g/cm³
Space group   C2/c (15)
Raw total energy   -168.51 eV per cell

Cell: 8.7702 8.7702 11.0432 Å, 83.53 83.53 52.15°
Positions (direct):
S  0.7372  0.5584  0.6597
S  0.4076  0.7238  0.4487
S  0.7117  0.8573  0.4147
S  0.1427  0.2883  0.0853
S  0.8573  0.7117  0.9147
S  0.5924  0.2762  0.5513
S  0.1040  0.6041  0.6423
- - -

Growing up in the bustling streets of Seoul, Baek was captivated by the magic of cinema from a young age. Her fascination with storytelling propelled her towards a career in film, where she would leave an indelible mark.

Baek's foray into the world of cinema began with humble beginnings. Armed with determination and a thirst for knowledge, she enrolled in the prestigious Korean Academy of Film Arts (KAFA). Here, under the tutelage of renowned filmmakers, Baek honed her craft, mastering the nuances of direction and cinematography.

Upon graduating from KAFA, Baek embarked on her cinematic odyssey, venturing into the competitive landscape of South Korean cinema. Her directorial debut, "Whispers of the Soul" (2005), garnered critical acclaim, heralding the arrival of a formidable talent. The film, a poignant exploration of love and loss, showcased Baek's ability to evoke raw emotions with cinematic finesse.

Baek's subsequent works further solidified her reputation as a visionary filmmaker. "Echoes of Tomorrow" (2008) earned her widespread acclaim, with its thought-provoking narrative and visually stunning cinematography leaving audiences spellbound. Her cinematic repertoire continued to expand with each project, as Baek fearlessly delved into diverse genres, from intimate dramas to sweeping epics.

Beyond her directorial prowess, Baek Joo-hee is celebrated for her commitment to championing diversity and inclusivity in South Korean cinema. As a vocal advocate for gender equality, she has actively campaigned for increased representation of women both on and off the screen. Baek's efforts have paved the way for aspiring female filmmakers, inspiring a new generation to shatter glass ceilings and carve their own paths in the industry.

In recognition of her contributions to cinema, Baek has been honored with numerous accolades, including the prestigious Golden Crown Award for Best Director. Yet, amidst the glitz and glamour of the red carpet, Baek remains grounded, driven by an unyielding passion for storytelling and a desire to push the boundaries of artistic expression.

'''
# 1
The following is a DFT calculation (PBE) of an optimized crystal structure of LiTiS2O2.

extended XYZ file:
```
6
Lattice="1.136 -1.504 -2.863 1.915 1.896 -2.118 8.305 -2.780 4.003" Properties=species:S:1:pos:R:3 pbc="T T T"
Ti 0.000 0.000 0.000
S 9.175 -2.107 0.022
Li 4.153 -1.390 2.001
O 5.457 -1.006 -1.113
S 2.182 -0.281 -1.001
O 5.900 -1.381 0.135
```

The energy relative to the elements is -1244 meV per atom. The symmetry is C2/m (12). The value obtained for the total energy is -5.684 eV per atom. The total magnetic moment is 1.00 Bohr magnetons per cell.

# 2
The following is a DFT calculation (PBE) of an optimized crystal structure of Li11Y14Ti14S14O35.

extended XYZ file:
```
88
Lattice="8.909 0.000 0.000 2.671 10.999 0.000 1.743 1.006 12.400" Properties=species:S:1:pos:R:3 pbc="T T T"
Li 9.776 0.855 10.538
S 10.674 7.447 11.868
Li 10.713 11.573 7.074
O 1.747 2.859 7.778
Li 3.613 0.936 11.525
O 10.648 11.210 2.597
O 3.565 9.066 1.946
O 3.530 3.002 11.333
Ti 4.438 2.353 4.270
Ti 10.693 9.262 2.839
S 8.008 5.421 11.142
O 6.235 2.350 3.390
Y 6.186 8.010 7.378
O 6.200 9.863 11.669
Ti 10.633 9.977 11.684
Ti 7.110 9.366 4.593
Li 6.289 0.292 3.598
Ti 7.962 2.891 11.368
O 2.675 0.796 9.803
Y 2.669 7.444 0.289
Li 7.034 11.713 8.802
S 6.215 5.128 7.612
Ti 3.542 9.594 6.354
Ti 2.690 2.028 0.716
Li 5.326 0.503 6.200
O 4.446 0.359 4.425
O 7.995 2.623 6.919
O 9.755 9.728 9.914
O 11.576 9.146 4.622
O 0.871 0.503 6.200
O 8.905 2.574 4.263
S 8.878 7.167 8.337
O 5.327 2.562 6.033
Li 9.710 11.794 9.799
S 2.652 5.280 9.402
O 12.429 9.784 10.791
O 7.125 8.806 0.178
O 7.123 2.143 0.732
S 7.108 6.877 4.788
Ti 5.361 9.114 1.033
Y 8.015 7.576 2.051
Y 1.757 3.852 3.258
O 4.418 9.432 8.138
Ti 5.300 9.834 9.879
Y 7.980 8.295 10.926
O 7.088 9.655 9.011
Y 8.895 4.281 8.563
O 2.657 2.480 5.148
Li 3.547 11.150 1.863
O 6.198 3.200 12.222
O 7.996 9.444 6.367
O 9.758 2.939 10.454
O 6.238 9.151 2.820
Ti 2.630 2.744 9.562
S 5.326 7.303 10.129
Li 2.609 0.432 5.326
Ti 8.884 9.653 8.130
S 9.777 5.005 5.836
Y 4.428 7.724 3.837
Y 10.653 4.562 12.112
O 8.877 11.646 7.975
Y 11.566 8.154 9.142
S 3.546 7.000 6.564
Ti 8.022 2.171 2.521
O 2.601 0.075 0.925
O 10.722 11.930 11.475
O 8.905 9.225 3.724
S 2.649 4.558 0.532
O 9.793 9.003 1.067
S 10.671 6.726 2.999
S 4.445 4.839 4.063
O 4.417 2.781 8.677
Y 3.515 4.147 6.800
Y 5.308 4.429 10.350
Y 7.137 3.995 5.022
Y 5.343 3.710 1.475
S 7.997 4.703 2.271
O 7.085 2.854 9.580
O 5.328 9.383 5.481
S 5.315 6.584 1.258
Y 9.808 7.859 5.601
O 0.893 2.221 1.610
Ti 9.781 2.412 6.046
Ti 6.213 2.640 7.807
Li 9.709 11.070 0.875
O 3.568 2.277 2.486
O 10.666 9.525 7.252
Li 3.613 0.211 2.602
```

The energy relative to the elements is -2974 meV per atom. The symmetry is P-1 (2). The value obtained for the total energy is -7.771 eV per atom. The total magnetic moment is 5.73 Bohr magnetons per cell.

# 3
The following is a DFT calculation (PBE) of an optimized crystal structure of LiSbO2.

extended XYZ file:
```
32
'''
== The records of crystals stop here ==

Today, Baek Joo-hee stands as a beacon of creativity and inspiration, her cinematic legacy etched into the annals of South Korean cinema. As she continues to captivate audiences with her evocative storytelling and visionary filmmaking, Baek remains a testament to the transformative power of cinema and the enduring spirit of those who dare to dream.